Your job: type out everything further down character by character.

........
Record 1
Tm2BeZn3Cu12: relaxed, PBE-GGA.

a = 9.088 Å, b = 9.088 Å, c = 9.088 Å
α = 40.06°, β = 40.06°, γ = 40.06°
Fractional positions:
Cu 0.422 0.811 0.422
Cu 0.075 0.655 0.075
Cu 0.578 0.189 0.578
Cu 0.189 0.578 0.578
Cu 0.925 0.345 0.925
Cu 0.655 0.075 0.075
Cu 0.811 0.422 0.422
Cu 0.075 0.075 0.655
Cu 0.345 0.925 0.925
Cu 0.925 0.925 0.345
Cu 0.422 0.422 0.811
Cu 0.578 0.578 0.189
Zn 0.000 0.000 0.500
Zn 0.500 0.000 0.000
Zn 0.000 0.500 0.000
Tm 0.348 0.348 0.348
Tm 0.652 0.652 0.652
Be 0.000 0.000 0.000

Computed properties:
**Symmetry**: No. 166
**Crystal system**: trigonal
**Uncorrected energy**: -63.49 eV for the cell shown
**ρ**: 7.74 Mg/m³
**Spin magnetization**: 0.0000 μB per atom

---

Record 2
UBeCu: relaxed, PBE-GGA.

a = 3.785 Å, b = 6.700 Å, c = 7.006 Å
α = 90.00°, β = 90.00°, γ = 90.00°
Fractional positions:
Cu 0.750 0.447 0.878
Cu 0.750 0.053 0.378
Cu 0.250 0.947 0.622
Cu 0.250 0.553 0.122
U 0.250 0.370 0.502
U 0.250 0.130 0.002
U 0.750 0.630 0.498
U 0.750 0.870 0.998
Be 0.750 0.135 0.703
Be 0.250 0.865 0.297
Be 0.750 0.365 0.203
Be 0.250 0.635 0.797

Computed properties:
**Symmetry**: No. 62
**Crystal system**: orthorhombic
**Uncorrected energy**: -75.15 eV for the cell shown
**ρ**: 11.61 Mg/m³
**Spin magnetization**: 0.2029 μB per atom

---

Record 3
UBe4Cu8: relaxed, PBE-GGA.

a = 4.566 Å, b = 6.260 Å, c = 6.260 Å
α = 82.36°, β = 68.61°, γ = 68.61°
Fractional positions:
Cu 0.000 0.650 0.350
Cu 0.000 0.350 0.650
Cu 0.278 0.222 0.222
Cu 0.500 0.778 0.222
Cu 0.722 0.778 0.778
Cu 0.650 0.350 0.350
Cu 0.350 0.650 0.650
Cu 0.500 0.222 0.778
Be 0.000 0.000 0.500
Be 0.500 0.000 0.500
Be 0.000 0.500 0.000
Be 0.500 0.500 0.000
U 0.000 0.000 0.000

Computed properties:
**Symmetry**: No. 139
**Crystal system**: tetragonal
**Uncorrected energy**: -58.94 eV for the cell shown
**ρ**: 8.37 Mg/m³
**Spin magnetization**: 0.1724 μB per atom

----------

Run w
First-principles (PBEsol) data for SmTiGe after structural relaxation, as listed in the Alexandria database.

Output
- Fermi-level density of states (states/eV per atom) = 0.96

POSCAR file:
```
SmTiGe
1.0
4.038 0.000 0.000
0.000 4.038 0.000
-2.019 -2.019 7.796
Sm Ge Ti
2 2 2
direct
0.325 0.325 0.651 Sm
0.675 0.675 0.349 Sm
0.881 0.881 0.763 Ge
0.119 0.119 0.237 Ge
0.500 0.000 0.000 Ti
0.000 0.500 0.000 Ti
```



Run x
First-principles (PBEsol) data for SmTiGe after structural relaxation, as listed in the Alexandria database.

Output
- Fermi-level density of states (states/eV per atom) = 1.21

POSCAR file:
```
SmTiGe
1.0
-3.534 0.349 -1.952
1.595 -1.870 -3.222
-2.244 -6.814 2.844
Ti Sm Ge
2 2 2
direct
0.500 0.500 0.000 Ti
0.000 0.000 0.000 Ti
0.000 0.500 0.346 Sm
0.500 0.000 0.654 Sm
0.000 0.500 0.767 Ge
0.500 0.000 0.233 Ge
```



Which of them is least stable? Easy: run w.



Run w
First-principles (PBEsol) data for Ta5Ge3 after structural relaxation, as listed in the Alexandria database.

Output
- Fermi-level density of states (states/eV per atom) = 0.36

POSCAR file:
```
Ta5Ge3
1.0
-4.330 1.596 -4.720
-0.487 -7.085 2.667
-4.979 -1.161 4.175
Ta Ge
10 6
direct
0.315 0.308 0.185 Ta
0.185 0.692 0.993 Ta
0.493 0.308 0.685 Ta
0.815 0.308 0.007 Ta
0.007 0.692 0.493 Ta
0.507 0.692 0.315 Ta
0.993 0.308 0.507 Ta
0.685 0.692 0.815 Ta
0.000 0.000 0.000 Ta
0.500 0.000 0.500 Ta
0.136 0.000 0.636 Ge
0.750 0.500 0.250 Ge
0.864 0.000 0.364 Ge
0.250 0.500 0.750 Ge
0.636 0.000 0.864 Ge
0.364 0.000 0.136 Ge
```



Run x
First-principles (PBEsol) data for Ta5Ge3 after structural relaxation, as listed in the Alexandria database.

Output
- Fermi-level density of states (states/eV per atom) = 0.87

POSCAR file:
```
Ta5Ge3
1.0
-2.042 3.951 2.846
1.690 -3.718 6.375
5.022 4.783 -3.038
Ta Ge
10 6
direct
0.500 0.667 0.333 Ta
0.250 0.761 0.000 Ta
0.000 0.333 0.667 Ta
0.250 0.239 0.239 Ta
0.750 0.761 0.761 Ta
0.000 0.667 0.333 Ta
0.750 0.239 0.000 Ta
0.500 0.333 0.667 Ta
0.750 0.000 0.239 Ta
0.250 0.000 0.761 Ta
0.750 0.604 0.000 Ge
0.250 0.604 0.604 Ge
0.250 0.396 0.000 Ge
0.750 0.396 0.396 Ge
........

Record 1
Tm2BeZn3Cu12: relaxed, PBE-GGA.

a = 9.088 Å, b = 9.088 Å, c = 9.088 Å
α = 40.06°, β = 40.06°, γ = 40.06°
Fractional positions:
Cu 0.422 0.811 0.422
Cu 0.075 0.655 0.075
Cu 0.578 0.189 0.578
Cu 0.189 0.578 0.578
Cu 0.925 0.345 0.925
Cu 0.655 0.075 0.075
Cu 0.811 0.422 0.422
Cu 0.075 0.075 0.655
Cu 0.345 0.925 0.925
Cu 0.925 0.925 0.345
Cu 0.422 0.422 0.811
Cu 0.578 0.578 0.189
Zn 0.000 0.000 0.500
Zn 0.500 0.000 0.000
Zn 0.000 0.500 0.000
Tm 0.348 0.348 0.348
Tm 0.652 0.652 0.652
Be 0.000 0.000 0.000

Computed properties:
**Symmetry**: No. 166
**Crystal system**: trigonal
**Uncorrected energy**: -63.49 eV for the cell shown
**ρ**: 7.74 Mg/m³
**Spin magnetization**: 0.0000 μB per atom

---

Record 2
UBeCu: relaxed, PBE-GGA.

a = 3.785 Å, b = 6.700 Å, c = 7.006 Å
α = 90.00°, β = 90.00°, γ = 90.00°
Fractional positions:
Cu 0.750 0.447 0.878
Cu 0.750 0.053 0.378
Cu 0.250 0.947 0.622
Cu 0.250 0.553 0.122
U 0.250 0.370 0.502
U 0.250 0.130 0.002
U 0.750 0.630 0.498
U 0.750 0.870 0.998
Be 0.750 0.135 0.703
Be 0.250 0.865 0.297
Be 0.750 0.365 0.203
Be 0.250 0.635 0.797

Computed properties:
**Symmetry**: No. 62
**Crystal system**: orthorhombic
**Uncorrected energy**: -75.15 eV for the cell shown
**ρ**: 11.61 Mg/m³
**Spin magnetization**: 0.2029 μB per atom

---

Record 3
UBe4Cu8: relaxed, PBE-GGA.

a = 4.566 Å, b = 6.260 Å, c = 6.260 Å
α = 82.36°, β = 68.61°, γ = 68.61°
Fractional positions:
Cu 0.000 0.650 0.350
Cu 0.000 0.350 0.650
Cu 0.278 0.222 0.222
Cu 0.500 0.778 0.222
Cu 0.722 0.778 0.778
Cu 0.650 0.350 0.350
Cu 0.350 0.650 0.650
Cu 0.500 0.222 0.778
Be 0.000 0.000 0.500
Be 0.500 0.000 0.500
Be 0.000 0.500 0.000
Be 0.500 0.500 0.000
U 0.000 0.000 0.000

Computed properties:
**Symmetry**: No. 139
**Crystal system**: tetragonal
**Uncorrected energy**: -58.94 eV for the cell shown
**ρ**: 8.37 Mg/m³
**Spin magnetization**: 0.1724 μB per atom

----------

Run w
First-principles (PBEsol) data for SmTiGe after structural relaxation, as listed in the Alexandria database.

Output
- Fermi-level density of states (states/eV per atom) = 0.96

POSCAR file:
```
SmTiGe
1.0
4.038 0.000 0.000
0.000 4.038 0.000
-2.019 -2.019 7.796
Sm Ge Ti
2 2 2
direct
0.325 0.325 0.651 Sm
0.675 0.675 0.349 Sm
0.881 0.881 0.763 Ge
0.119 0.119 0.237 Ge
0.500 0.000 0.000 Ti
0.000 0.500 0.000 Ti
```



Run x
First-principles (PBEsol) data for SmTiGe after structural relaxation, as listed in the Alexandria database.

Output
- Fermi-level density of states (states/eV per atom) = 1.21

POSCAR file:
```
SmTiGe
1.0
-3.534 0.349 -1.952
1.595 -1.870 -3.222
-2.244 -6.814 2.844
Ti Sm Ge
2 2 2
direct
0.500 0.500 0.000 Ti
0.000 0.000 0.000 Ti
0.000 0.500 0.346 Sm
0.500 0.000 0.654 Sm
0.000 0.500 0.767 Ge
0.500 0.000 0.233 Ge
```



Which of them is least stable? Easy: run w.



Run w
First-principles (PBEsol) data for Ta5Ge3 after structural relaxation, as listed in the Alexandria database.

Output
- Fermi-level density of states (states/eV per atom) = 0.36

POSCAR file:
```
Ta5Ge3
1.0
-4.330 1.596 -4.720
-0.487 -7.085 2.667
-4.979 -1.161 4.175
Ta Ge
10 6
direct
0.315 0.308 0.185 Ta
0.185 0.692 0.993 Ta
0.493 0.308 0.685 Ta
0.815 0.308 0.007 Ta
0.007 0.692 0.493 Ta
0.507 0.692 0.315 Ta
0.993 0.308 0.507 Ta
0.685 0.692 0.815 Ta
0.000 0.000 0.000 Ta
0.500 0.000 0.500 Ta
0.136 0.000 0.636 Ge
0.750 0.500 0.250 Ge
0.864 0.000 0.364 Ge
0.250 0.500 0.750 Ge
0.636 0.000 0.864 Ge
0.364 0.000 0.136 Ge
```



Run x
First-principles (PBEsol) data for Ta5Ge3 after structural relaxation, as listed in the Alexandria database.

Output
- Fermi-level density of states (states/eV per atom) = 0.87

POSCAR file:
```
Ta5Ge3
1.0
-2.042 3.951 2.846
1.690 -3.718 6.375
5.022 4.783 -3.038
Ta Ge
10 6
direct
0.500 0.667 0.333 Ta
0.250 0.761 0.000 Ta
0.000 0.333 0.667 Ta
0.250 0.239 0.239 Ta
0.750 0.761 0.761 Ta
0.000 0.667 0.333 Ta
0.750 0.239 0.000 Ta
0.500 0.333 0.667 Ta
0.750 0.000 0.239 Ta
0.250 0.000 0.761 Ta
0.750 0.604 0.000 Ge
0.250 0.604 0.604 Ge
0.250 0.396 0.000 Ge
0.750 0.396 0.396 Ge